- - -
# 1
# C55H43AlNOP3S3

A structure of composition C55H43AlNOP3S3 (ωB97M-V/def2-TZVPD, the Open Molecules 2025 dataset).

Calculated values
Kohn-Sham gap: 7.59 eV
Highest occupied orbital energy: -7.210 eV
Max |F|: 0.99 eV/Å
Spin multiplicity: 1
Calculated total energy: -128243.5662 eV

Geometry (Å):
Al  -0.944  -0.257  -0.583
O  1.343  0.450  2.731
C  0.934  0.697  4.032
C  1.554  1.671  4.805
C  1.180  1.834  6.127
C  0.193  1.023  6.676
C  -0.471  0.118  5.866
C  -0.136  -0.038  4.521
P  -1.153  -1.086  3.375
C  -0.744  -2.729  4.090
C  0.303  -3.401  3.458
C  0.753  -4.624  3.931
C  0.139  -5.206  5.031
C  -0.908  -4.552  5.663
C  -1.339  -3.313  5.207
C  -2.812  -0.662  4.037
C  -3.833  -1.601  4.156
C  -5.106  -1.213  4.555
C  -5.384  0.120  4.807
C  -4.386  1.072  4.641
C  -3.113  0.684  4.261
C  2.599  -0.060  2.502
C  3.632  -0.066  3.438
C  4.895  -0.499  3.072
C  5.149  -0.936  1.780
C  4.105  -0.992  0.878
C  2.817  -0.589  1.233
P  1.525  -0.639  -0.078
C  1.739  -2.297  -0.812
C  2.260  -3.356  -0.069
C  2.323  -4.629  -0.615
C  1.857  -4.861  -1.901
C  1.302  -3.821  -2.632
C  1.231  -2.547  -2.089
C  2.369  0.583  -1.153
C  3.106  0.281  -2.285
C  3.790  1.288  -2.956
C  3.750  2.593  -2.494
C  3.018  2.899  -1.351
C  2.335  1.897  -0.684
H  2.307  2.315  4.368
H  1.665  2.591  6.730
H  -0.073  1.118  7.720
H  -1.279  -0.476  6.276
H  0.757  -2.961  2.575
H  1.573  -5.128  3.435
H  0.474  -6.170  5.394
H  -1.396  -5.007  6.516
H  -2.143  -2.807  5.724
H  -3.647  -2.640  3.914
H  -5.887  -1.958  4.650
H  -6.379  0.419  5.111
H  -4.605  2.122  4.792
H  -2.341  1.436  4.137
H  3.462  0.253  4.453
H  5.689  -0.481  3.808
H  6.147  -1.227  1.479
H  4.282  -1.353  -0.127
H  2.621  -3.191  0.938
H  2.736  -5.441  -0.030
H  1.913  -5.855  -2.327
H  0.912  -4.002  -3.625
H  0.763  -1.737  -2.637
H  3.142  -0.737  -2.655
H  4.357  1.049  -3.847
H  4.285  3.374  -3.019
H  2.985  3.915  -0.980
H  1.775  2.132  0.218
S  -5.008  -1.512  -0.561
C  -3.447  -1.039  -0.418
S  -2.099  -2.180  -0.513
S  -2.985  0.643  -0.183
N  -0.353  0.287  -2.175
P  -0.808  1.292  -3.262
C  -1.266  2.951  -2.664
C  -0.947  3.302  -1.357
C  -1.326  4.533  -0.840
C  -2.025  5.428  -1.637
C  -2.354  5.086  -2.941
C  -1.980  3.853  -3.452
C  0.514  1.545  -4.485
C  1.243  0.424  -4.879
C  2.220  0.525  -5.857
C  2.491  1.757  -6.440
C  1.781  2.880  -6.043
C  0.791  2.775  -5.073
C  -2.234  0.803  -4.291
C  -3.528  0.976  -3.795
C  -4.622  0.527  -4.516
C  -4.439  -0.089  -5.746
C  -3.159  -0.264  -6.248
C  -2.060  0.176  -5.524
H  -0.408  2.592  -0.744
H  -1.082  4.787  0.184
H  -2.325  6.389  -1.238
H  -2.911  5.779  -3.560
H  -2.258  3.582  -4.465
H  1.028  -0.530  -4.414
H  2.772  -0.355  -6.164
H  3.252  1.839  -7.205
H  1.994  3.842  -6.493
H  0.237  3.656  -4.775
H  -3.677  1.452  -2.836
H  -5.617  0.649  -4.107
H  -5.296  -0.429  -6.315
H  -3.013  -0.752  -7.204
H  -1.066  0.033  -5.925

Results of the Löwdin charge analysis, in e, for atoms 1 through 2:
1. Al -0.36
2. O -0.04


# 2
# C7H7O2

The ion C7H7O2 with charge +1 (ωB97M-V/def2-TZVPD, the Open Molecules 2025 dataset).

Calculated values
Kohn-Sham gap (alpha / beta): 8.20 / 8.20 eV
Energy relative to the best compared isomer or geometry (same formula, charge and spin): 67.0 kcal per mole
Highest occupied orbital energy (alpha / beta): -14.253 / -14.253 eV
Max |F|: 7.86 eV/Å
Spin multiplicity: 1
Charge: +1
Calculated total energy: -11454.6240 eV

Geometry (Å):
C  -2.684  -0.492  -0.245
C  -0.693  0.435  -1.677
C  -1.467  -0.567  0.372
C  -0.330  -0.190  -0.483
C  -2.183  -0.107  -1.623
C  0.841  0.168  -0.050
C  2.535  0.154  1.632
O  -2.130  -0.580  -2.756
O  1.355  -0.280  1.098
H  -3.705  -0.421  0.216
H  -0.509  0.963  -2.592
H  -1.210  -0.544  1.502
H  1.573  0.696  -0.701
H  2.674  1.155  1.196
H  2.597  0.111  2.795
H  3.337  -0.504  1.318

Results of the Löwdin charge analysis, in e, for atoms 1 through 2:
1. C 0.08
2. C 0.24


# 3
# C46H55BN9O4S5Y
- - -
Write out the listing above without additions.
# 1
# C55H43AlNOP3S3

A structure of composition C55H43AlNOP3S3 (ωB97M-V/def2-TZVPD, the Open Molecules 2025 dataset).

Calculated values
Kohn-Sham gap: 7.59 eV
Highest occupied orbital energy: -7.210 eV
Max |F|: 0.99 eV/Å
Spin multiplicity: 1
Calculated total energy: -128243.5662 eV

Geometry (Å):
Al  -0.944  -0.257  -0.583
O  1.343  0.450  2.731
C  0.934  0.697  4.032
C  1.554  1.671  4.805
C  1.180  1.834  6.127
C  0.193  1.023  6.676
C  -0.471  0.118  5.866
C  -0.136  -0.038  4.521
P  -1.153  -1.086  3.375
C  -0.744  -2.729  4.090
C  0.303  -3.401  3.458
C  0.753  -4.624  3.931
C  0.139  -5.206  5.031
C  -0.908  -4.552  5.663
C  -1.339  -3.313  5.207
C  -2.812  -0.662  4.037
C  -3.833  -1.601  4.156
C  -5.106  -1.213  4.555
C  -5.384  0.120  4.807
C  -4.386  1.072  4.641
C  -3.113  0.684  4.261
C  2.599  -0.060  2.502
C  3.632  -0.066  3.438
C  4.895  -0.499  3.072
C  5.149  -0.936  1.780
C  4.105  -0.992  0.878
C  2.817  -0.589  1.233
P  1.525  -0.639  -0.078
C  1.739  -2.297  -0.812
C  2.260  -3.356  -0.069
C  2.323  -4.629  -0.615
C  1.857  -4.861  -1.901
C  1.302  -3.821  -2.632
C  1.231  -2.547  -2.089
C  2.369  0.583  -1.153
C  3.106  0.281  -2.285
C  3.790  1.288  -2.956
C  3.750  2.593  -2.494
C  3.018  2.899  -1.351
C  2.335  1.897  -0.684
H  2.307  2.315  4.368
H  1.665  2.591  6.730
H  -0.073  1.118  7.720
H  -1.279  -0.476  6.276
H  0.757  -2.961  2.575
H  1.573  -5.128  3.435
H  0.474  -6.170  5.394
H  -1.396  -5.007  6.516
H  -2.143  -2.807  5.724
H  -3.647  -2.640  3.914
H  -5.887  -1.958  4.650
H  -6.379  0.419  5.111
H  -4.605  2.122  4.792
H  -2.341  1.436  4.137
H  3.462  0.253  4.453
H  5.689  -0.481  3.808
H  6.147  -1.227  1.479
H  4.282  -1.353  -0.127
H  2.621  -3.191  0.938
H  2.736  -5.441  -0.030
H  1.913  -5.855  -2.327
H  0.912  -4.002  -3.625
H  0.763  -1.737  -2.637
H  3.142  -0.737  -2.655
H  4.357  1.049  -3.847
H  4.285  3.374  -3.019
H  2.985  3.915  -0.980
H  1.775  2.132  0.218
S  -5.008  -1.512  -0.561
C  -3.447  -1.039  -0.418
S  -2.099  -2.180  -0.513
S  -2.985  0.643  -0.183
N  -0.353  0.287  -2.175
P  -0.808  1.292  -3.262
C  -1.266  2.951  -2.664
C  -0.947  3.302  -1.357
C  -1.326  4.533  -0.840
C  -2.025  5.428  -1.637
C  -2.354  5.086  -2.941
C  -1.980  3.853  -3.452
C  0.514  1.545  -4.485
C  1.243  0.424  -4.879
C  2.220  0.525  -5.857
C  2.491  1.757  -6.440
C  1.781  2.880  -6.043
C  0.791  2.775  -5.073
C  -2.234  0.803  -4.291
C  -3.528  0.976  -3.795
C  -4.622  0.527  -4.516
C  -4.439  -0.089  -5.746
C  -3.159  -0.264  -6.248
C  -2.060  0.176  -5.524
H  -0.408  2.592  -0.744
H  -1.082  4.787  0.184
H  -2.325  6.389  -1.238
H  -2.911  5.779  -3.560
H  -2.258  3.582  -4.465
H  1.028  -0.530  -4.414
H  2.772  -0.355  -6.164
H  3.252  1.839  -7.205
H  1.994  3.842  -6.493
H  0.237  3.656  -4.775
H  -3.677  1.452  -2.836
H  -5.617  0.649  -4.107
H  -5.296  -0.429  -6.315
H  -3.013  -0.752  -7.204
H  -1.066  0.033  -5.925

Results of the Löwdin charge analysis, in e, for atoms 1 through 2:
1. Al -0.36
2. O -0.04


# 2
# C7H7O2

The ion C7H7O2 with charge +1 (ωB97M-V/def2-TZVPD, the Open Molecules 2025 dataset).

Calculated values
Kohn-Sham gap (alpha / beta): 8.20 / 8.20 eV
Energy relative to the best compared isomer or geometry (same formula, charge and spin): 67.0 kcal per mole
Highest occupied orbital energy (alpha / beta): -14.253 / -14.253 eV
Max |F|: 7.86 eV/Å
Spin multiplicity: 1
Charge: +1
Calculated total energy: -11454.6240 eV

Geometry (Å):
C  -2.684  -0.492  -0.245
C  -0.693  0.435  -1.677
C  -1.467  -0.567  0.372
C  -0.330  -0.190  -0.483
C  -2.183  -0.107  -1.623
C  0.841  0.168  -0.050
C  2.535  0.154  1.632
O  -2.130  -0.580  -2.756
O  1.355  -0.280  1.098
H  -3.705  -0.421  0.216
H  -0.509  0.963  -2.592
H  -1.210  -0.544  1.502
H  1.573  0.696  -0.701
H  2.674  1.155  1.196
H  2.597  0.111  2.795
H  3.337  -0.504  1.318

Results of the Löwdin charge analysis, in e, for atoms 1 through 2:
1. C 0.08
2. C 0.24


# 3
# C46H55BN9O4S5Y